It remains to count the lines further down that contain the word "The" and give the number alone.

-- begin --
This record from OMol25 describes 2 unconnected molecules or ions with the total composition C5H12N3 at a distorted geometry. The level of theory is ωB97M-V/def2-TZVPD.

Its net charge is +1. As for the expectation value of S²: 2.008. The LUMO energy (alpha / beta) is -2.9 / -7.4 eV. The calculation puts the relative energy (zero: lowest compared OMol25 entry of this formula, charge and spin) at 365.6 kJ/mol. The HOMO-LUMO gap (alpha / beta) is 6.56 / 5.75 eV. The spin multiplicity is 3.

```
20
C5H12N3 | OMol25 | ωB97M-V/def2-TZVPD
C -0.060 -2.259 0.412
C 0.970 -1.626 0.506
C -1.202 -0.250 -0.374
C 2.211 -0.909 0.732
C 0.023 1.910 -0.727
N -0.751 0.894 0.058
N -1.217 -0.556 -1.699
N -0.974 1.367 1.368
H -0.757 -2.967 0.476
H -2.039 -0.678 0.194
H 2.829 -0.908 -0.090
H 2.718 -1.467 1.540
H 1.996 0.194 0.938
H -0.075 2.873 -0.274
H 1.091 1.751 -0.841
H -0.614 2.034 -1.729
H -1.752 -1.411 -1.907
H -0.389 -0.428 -2.411
H -0.148 1.437 1.917
H -1.858 1.000 1.913
```

Let us look at the Löwdin charges, expressed in e, one per atom: atom 1 (C): 0.108, atom 2 (C): -0.164, atom 3 (C): -0.378, atom 4 (C): -0.081, atom 5 (C): 0.022, atom 6 (N): -0.136, atom 7 (N): 0.099, atom 8 (N): 0.203, atom 9 (H): 0.019, atom 10 (H): 0.133, atom 11 (H): 0.050, atom 12 (H): 0.107, atom 13 (H): 0.087, atom 14 (H): 0.079, atom 15 (H): 0.089, atom 16 (H): 0.158, atom 17 (H): 0.122, atom 18 (H): 0.171, atom 19 (H): 0.115, atom 20 (H): 0.197
-- stop --

2